Source
____________
No. 1
Theoretical X-ray powder pattern
Compound: CaDy7Y2
Radiation: Cu Kα
Structure: a crystal structure in Alexandria, relaxed with PBE
No peak broadening, texture or thermal motion is included.

Atomic structure:
Unit cell a=6.1792 b=6.1845 c=9.4673 alpha=109.05 beta=102.27 gamma=99.74
Space group P-1 (No. 2)
One atom of each set of equivalent atoms:
Ca: 0.0000 0.0000 0.0000 x1
Dy: 0.0983 0.2041 0.6962 x2
Dy: 0.2040 0.4059 0.4056 x2
Dy: 0.3122 0.6039 0.1036 x2
Dy: 0.5000 0.0000 0.5000 x1
Y: 0.3947 0.7943 0.7940 x2

The 8 most intense peaks (2θ = 5–70°), by angle:
- (2 -1 0), d = 2.919 Å, I 100
- (0 2 -2), d = 2.915 Å, I 34
- (1 -1 3), d = 2.537 Å, I 23
- (-1 2 1), d = 2.526 Å, I 23
- (2 1 -2), d = 2.519 Å, I 22
- (2 -3 2), d = 1.788 Å, I 16
- (1 3 -1), d = 1.785 Å, I 16
- (3 1 -5), d = 1.520 Å, I 14

---

No. 2
Theoretical X-ray powder pattern
Compound: La7Pm5
Radiation: Cu Kα
Structure: a crystal structure in Alexandria, relaxed with PBE
No peak broadening, texture or thermal motion is included.

Atomic structure:
Unit cell a=19.3959 b=3.7192 c=13.6088 alpha=90.00 beta=118.38 gamma=90.00
Space group C2/m (No. 12)
One atom of each set of equivalent atoms:
La: 0.0000 0.0000 0.0000 x2
La: 0.0263 0.5000 0.2500 x4
La: 0.1406 0.0000 0.7514 x4
La: 0.1671 0.0000 0.5018 x4
Pm: 0.0000 0.5000 0.5000 x2
Pm: 0.1679 0.5000 0.0035 x4
Pm: 0.1924 0.0000 0.2494 x4

The 8 most intense peaks (2θ = 5–70°), by angle:
- (3 1 -2), d = 3.115 Å, I 42
- (0 0 4), d = 2.993 Å, I 34
- (6 0 0), d = 2.841 Å, I 100
- (3 1 -4), d = 2.510 Å, I 15
- (9 1 -3), d = 1.865 Å, I 17
- (6 0 4), d = 1.697 Å, I 22
- (9 1 -7), d = 1.583 Å, I 20
- (6 2 0), d = 1.556 Å, I 12

---

No. 3
Theoretical X-ray powder pattern
Compound: Sm2SnBr8
Radiation: Cu Kα
Structure: a crystal structure in Alexandria, relaxed with PBE
No peak broadening, texture or thermal motion is included.

Atomic structure:
Unit cell a=7.8976 b=8.0113 c=8.4832 alpha=89.92 beta=89.05 gamma=61.83
Space group P-1 (No. 2)
One atom of each set of equivalent atoms:
Sm: 0.2499 0.0264 0.3820 x2
Sn: 0.0000 0.0000 0.0000 x1
Br: 0.0064 0.8320 0.3383 x2
Br: 0.0319 0.6820 0.7988 x2
Br: 0.4091 0.8233 0.1024 x2
Br: 0.4456 0.2450 0.4231 x2

The 8 most intense peaks (2θ = 5–70°), by angle:
- (0 1 0), d = 7.062 Å, I 100
- (1 0 -1), d = 5.335 Å, I 29
- (1 1 -1), d = 5.289 Å, I 37
- (1 0 -2), d = 3.594 Å, I 21
- (2 2 0), d = 3.411 Å, I 32
- (1 -1 2), d = 2.965 Å, I 37
- (-1 1 2), d = 2.918 Å, I 26
- (1 0 -3), d = 2.602 Å, I 24

---

No. 4
Theoretical X-ray powder pattern
Compound: Zr2Be12Co5
Radiation: Cu Kα
Structure: a crystal structure in Alexandria, relaxed with PBE
No peak broadening, texture or thermal motion is included.

Atomic structure:
Unit cell a=7.7526 b=7.7526 c=11.1907 alpha=90.00 beta=90.00 gamma=120.00
Space group R-3m (No. 166, hexagonal axes)
One atom of each set of equivalent atoms:
Zr: 0.0000 0.0000 0.1623 x6
Be: 0.0000 0.2862 0.5000 x18
Be: 0.0018 0.5009 0.3442 x18
Co: 0.0000 0.0000 0.4008 x6
Co: 0.0000 0.5000 0.0000 x9

The 8 most intense peaks (2θ = 5–70°), by angle:
- (1 1 0), d = 3.876 Å, I 100
- (0 2 1), d = 3.215 Å, I 39
- (1 1 3), d = 2.688 Å, I 69
- (1 0 4), d = 2.582 Å, I 48
- (2 2 0), d = 1.938 Å, I 81
- (3 0 3), d = 1.919 Å, I 36
- (2 1 4), d = 1.880 Å, I 39
- (2 0 5), d = 1.863 Å, I 49

---

No. 5
Theoretical X-ray powder pattern
Compound: Y2HfU2Ru5
Radiation: Cu Kα
Structure: a crystal structure in Alexandria, relaxed with PBE
No peak broadening, texture or thermal motion is included.

Atomic structure:
Unit cell a=10.5034 b=10.5034 c=3.5187 alpha=90.00 beta=90.00 gamma=90.00
Space group P4/mbm (No. 127)
One atom of each set of equivalent atoms:
Y: 0.1742 0.3258 0.0000 x4
Hf: 0.0000 0.0000 0.0000 x2
U: 0.1379 0.6379 0.0000 x4
Ru: 0.0000 0.5000 0.5000 x2
Ru: 0.0511 0.7968 0.5000 x8

The 8 most intense peaks (2θ = 5–70°), by angle:
- (2 1 0), d = 4.697 Å, I 42
- (3 1 0), d = 3.321 Å, I 18
- (2 2 1), d = 2.552 Å, I 29
- (3 3 0), d = 2.476 Å, I 19
- (3 1 1), d = 2.415 Å, I 100
____________

Wanted
Say how many lines of the calculation results further up hold the word "motion", as a bare number, please.

Solution
5